Job
Next, search the block below for the word "mol" and print each line that has it.
File
<<<
Entry 1:
Crystalline BaTa2Tc at its relaxed geometry. Source: Alexandria via LeMat-Bulk, functional PBE.

The structure in POSCAR format:
```
BaTa2Tc
1.0
3.242 0.000 0.000
0.000 4.974 0.000
0.000 0.000 5.077
Ba Ta Tc
1 2 1
direct
0.000 0.000 0.000
0.000 0.500 0.500
0.500 0.500 0.000
0.500 0.000 0.500
```

Properties
Energy of formation from the pure elements (eV per formula unit): 4.56
E_tot (eV per atom): -7.8581
Symmetry: No. 47

---

Entry 2:
Crystalline BaTa3Tc at its relaxed geometry. Source: Alexandria via LeMat-Bulk, functional PBE.

The structure in POSCAR format:
```
BaTa3Tc
1.0
4.989 0.000 0.000
0.000 4.989 0.000
0.000 0.000 4.989
Ba Ta Tc
1 3 1
direct
0.000 0.000 0.000
0.000 0.500 0.500
0.500 0.000 0.500
0.500 0.500 0.000
0.500 0.500 0.500
```

Properties
Energy of formation from the pure elements (eV per formula unit): 5.23
E_tot (eV per atom): -8.5229
Symmetry: No. 221

---

Entry 3:
Crystalline BaTaTc at its relaxed geometry. Source: Alexandria via LeMat-Bulk, functional PBE.

The structure in POSCAR format:
```
BaTaTc
1.0
4.228 0.000 0.000
-2.114 3.661 0.000
0.000 0.000 5.632
Ba Ta Tc
1 1 1
direct
0.000 0.000 0.000
0.667 0.333 0.500
0.333 0.667 0.500
```

Properties
Energy of formation from the pure elements (eV per formula unit): 2.13
E_tot (eV per atom): -7.3360
Symmetry: No. 187

---

Entry 4:
Crystalline BaTa2Tc at its relaxed geometry. Source: Alexandria via LeMat-Bulk, functional PBE.

The structure in POSCAR format:
```
BaTa2Tc
1.0
-1.536 2.809 5.323
1.536 -2.809 5.323
1.536 2.809 -5.323
Ba Ta Tc
1 2 1
direct
0.000 0.000 0.000
0.301 0.801 0.500
0.699 0.199 0.500
0.500 0.500 0.000
```

Properties
Energy of formation from the pure elements (eV per formula unit): 3.47
E_tot (eV per atom): -8.1301
Symmetry: No. 71

---

Entry 5:
Crystalline BaTa2Tc at its relaxed geometry. Source: Alexandria via LeMat-Bulk, functional PBE.

The structure in POSCAR format:
```
BaTa2Tc
1.0
3.233 0.000 0.000
0.000 3.233 0.000
0.000 0.000 8.704
Ba Ta Tc
1 2 1
direct
0.000 0.000 0.000
0.000 0.000 0.551
0.500 0.500 0.348
0.500 0.500 0.706
```

Properties
Energy of formation from the pure elements (eV per formula unit): 1.93
E_tot (eV per atom): -8.5166
Symmetry: No. 99

---

Entry 6:
Crystalline BaTaTc2Te at its relaxed geometry. Source: Alexandria via LeMat-Bulk, functional PBE.

The structure in POSCAR format:
```
BaTaTc2Te
1.0
4.937 0.000 0.000
0.000 4.937 0.000
0.000 0.000 5.675
Ba Ta Tc Te
1 1 2 1
direct
0.000 0.000 0.000
0.500 0.500 0.500
0.000 0.500 0.500
0.500 0.000 0.500
0.500 0.500 0.000
```

Properties
E_form (uncorrected) (kJ/mol of formula units): 372
E_tot (eV per atom): -6.7579
Symmetry: No. 123

---

Entry 7:
Crystalline BaTa2Te at its relaxed geometry. Source: Alexandria via LeMat-Bulk, functional PBE.

The structure in POSCAR format:
```
BaTa2Te
1.0
3.605 0.000 0.000
0.000 5.204 0.000
0.000 0.000 5.257
Ba Ta Te
1 2 1
direct
0.000 0.000 0.000
0.000 0.500 0.500
0.500 0.500 0.000
0.500 0.000 0.500
```

Properties
E_form (uncorrected) (kJ/mol of formula units): 339
E_tot (eV per atom): -6.3145
Symmetry: No. 47

---

Entry 8:
Crystalline BaTa2Te at its relaxed geometry. Source: Alexandria via LeMat-Bulk, functional PBE.

The structure in POSCAR format:
```
BaTa2Te
1.0
-2.455 2.455 10.307
2.455 -2.455 10.307
2.455 2.455 -10.307
Ba Ta Te
2 4 2
direct
0.000 0.000 0.000
0.750 0.250 0.500
0.300 0.625 0.175
0.375 0.550 0.675
0.450 0.125 0.825
0.875 0.700 0.325
0.250 0.750 0.500
0.500 0.500 0.000
```

Properties
E_form (uncorrected) (kJ/mol of formula units): 258
E_tot (eV per atom): -6.5227
Symmetry: No. 122

---

Entry 9:
Crystalline Ba3TaTe at its relaxed geometry. Source: Alexandria via LeMat-Bulk, functional PBE.

The structure in POSCAR format:
```
Ba3TaTe
1.0
5.963 0.000 0.000
0.000 5.963 0.000
0.000 0.000 5.963
Ba Ta Te
3 1 1
direct
0.000 0.000 0.500
0.000 0.500 0.000
0.500 0.000 0.000
0.000 0.000 0.000
0.500 0.500 0.500
```

Properties
E_form (uncorrected) (kJ/mol of formula units): 169
E_tot (eV per atom): -3.8031
>>>
Outcome
E_form (uncorrected) (kJ/mol of formula units): 372
E_form (uncorrected) (kJ/mol of formula units): 339
E_form (uncorrected) (kJ/mol of formula units): 258
E_form (uncorrected) (kJ/mol of formula units): 169